Here is an optimized crystal structure of KNaBi4O12 from the Materials Project. Energies are from PBE.

Unit cell a=8.430 b=8.230 c=8.348 alpha=90.00 beta=90.00 gamma=90.00
Space group Amm2 (No. 38)
One atom of each set of equivalent atoms:
K 0.000 0.000 0.000 (multiplicity 2)
Na 0.500 0.000 0.466 (multiplicity 2)
Bi 0.253 0.248 0.731 (multiplicity 8)
O 0.000 0.202 0.728 (multiplicity 4)
O 0.209 0.000 0.287 (multiplicity 4)
O 0.256 0.192 0.982 (multiplicity 8)
O 0.307 0.000 0.675 (multiplicity 4)
O 0.500 0.193 0.257 (multiplicity 4)

Properties
Energy relative to the elements, kcal/mol of atoms: -26.3
V, Å³ per atom: 16.09

=====

Here is an optimized crystal structure of In3Au7 from the Materials Project. Energies are from PBE.

Unit cell a=12.5094 b=12.5094 c=8.7497 alpha=90.00 beta=90.00 gamma=120.00
Space group P-3 (No. 147)
One atom of each set of equivalent atoms:
In 0.0206 0.8336 0.2487 (multiplicity 6)
In 0.1410 0.6431 0.0412 (multiplicity 6)
In 0.1658 0.4751 0.5391 (multiplicity 6)
Au 0.0000 0.0000 0.0000 (multiplicity 1)
Au 0.0000 0.0000 0.5000 (multiplicity 1)
Au 0.0068 0.7770 0.5740 (multiplicity 6)
Au 0.0369 0.7941 0.9154 (multiplicity 6)
Au 0.0863 0.6447 0.3658 (multiplicity 6)
Au 0.1068 0.4217 0.8742 (multiplicity 6)
Au 0.1122 0.6417 0.7045 (multiplicity 6)
Au 0.1374 0.4392 0.2089 (multiplicity 6)
Au 0.3333 0.6667 0.3248 (multiplicity 2)
Au 0.3333 0.6667 0.8339 (multiplicity 2)

Properties
Energy relative to the elements, kcal/mol of atoms: -3.1
V, Å³ per atom: 19.76

=====

Here is an optimized crystal structure of Bi5BO10 from the Materials Project. Energies are from PBE.

Unit cell a=8.480 b=22.439 c=5.651 alpha=90.00 beta=106.83 gamma=90.00
Space group P2_1/c (No. 14)
One atom of each set of equivalent atoms:
Bi 0.005 0.196 0.219 (multiplicity 4)
Bi 0.284 0.058 0.414 (multiplicity 4)
Bi 0.337 0.686 0.949 (multiplicity 4)
Bi 0.354 0.557 0.486 (multiplicity 4)
Bi 0.361 0.185 0.954 (multiplicity 4)
B 0.001 0.580 0.794 (multiplicity 4)
O 0.078 0.031 0.829 (multiplicity 4)
O 0.085 0.112 0.571 (multiplicity 4)
O 0.153 0.244 0.988 (multiplicity 4)
O 0.156 0.596 0.785 (multiplicity 4)
O 0.159 0.740 0.060 (multiplicity 4)
O 0.249 0.139 0.214 (multiplicity 4)
O 0.389 0.647 0.328 (multiplicity 4)
O 0.463 0.104 0.712 (multiplicity 4)
O 0.476 0.024 0.218 (multiplicity 4)
O 0.486 0.247 0.271 (multiplicity 4)

Properties
Energy relative to the elements, kcal/mol of atoms: -39.1
V, Å³ per atom: 16.08

=====

Here is an optimized crystal structure of RbOs2O9 from the Materials Project. Energies are from PBE.

Unit cell a=10.679 b=5.895 c=13.534 alpha=90.00 beta=90.00 gamma=90.00
Space group Pna2_1 (No. 33)
One atom of each set of equivalent atoms:
Rb 0.117 0.247 0.000 (multiplicity 4)
Os 0.101 0.310 0.335 (multiplicity 4)
Os 0.186 0.210 0.650 (multiplicity 4)
O 0.023 0.757 0.913 (multiplicity 4)
O 0.029 0.273 0.220 (multiplicity 4)
O 0.118 0.007 0.574 (multiplicity 4)
O 0.118 0.242 0.766 (multiplicity 4)
O 0.134 0.585 0.374 (multiplicity 4)
O 0.140 0.458 0.590 (multiplicity 4)
O 0.151 0.735 0.140 (multiplicity 4)
O 0.211 0.108 0.368 (multiplicity 4)
O 0.243 0.386 0.220 (multiplicity 4)

Properties
Energy relative to the elements, kcal/mol of atoms: -34.3
V, Å³ per atom: 17.75

=====

Here is an optimized crystal structure of Be2ReCl from the Materials Project. Energies are from PBE.

Unit cell a=5.841 b=5.841 c=5.841 alpha=90.00 beta=90.00 gamma=90.00
Space group F-43m (No. 216)
One atom of each set of equivalent atoms:
Be 0.000 0.000 0.000 (multiplicity 4)
Be 0.250 0.250 0.250 (multiplicity 4)
Re 0.000 0.000 0.500 (multiplicity 4)
Cl 0.250 0.250 0.750 (multiplicity 4)

Properties
Energy relative to the elements, kcal/mol of atoms: 22.1
V, Å³ per atom: 12.45

=====

Here is an optimized crystal structure of NaIO4 from the Materials Project. Energies are from PBE.

Unit cell a=5.434 b=5.434 c=12.170 alpha=90.00 beta=90.00 gamma=90.00
Space group I4_1/a (No. 88, origin choice 2)
One atom of each set of equivalent atoms:
Quote the whole of the entries further up verbatim.
Here is an optimized crystal structure of KNaBi4O12 from the Materials Project. Energies are from PBE.

Unit cell a=8.430 b=8.230 c=8.348 alpha=90.00 beta=90.00 gamma=90.00
Space group Amm2 (No. 38)
One atom of each set of equivalent atoms:
K 0.000 0.000 0.000 (multiplicity 2)
Na 0.500 0.000 0.466 (multiplicity 2)
Bi 0.253 0.248 0.731 (multiplicity 8)
O 0.000 0.202 0.728 (multiplicity 4)
O 0.209 0.000 0.287 (multiplicity 4)
O 0.256 0.192 0.982 (multiplicity 8)
O 0.307 0.000 0.675 (multiplicity 4)
O 0.500 0.193 0.257 (multiplicity 4)

Properties
Energy relative to the elements, kcal/mol of atoms: -26.3
V, Å³ per atom: 16.09

=====

Here is an optimized crystal structure of In3Au7 from the Materials Project. Energies are from PBE.

Unit cell a=12.5094 b=12.5094 c=8.7497 alpha=90.00 beta=90.00 gamma=120.00
Space group P-3 (No. 147)
One atom of each set of equivalent atoms:
In 0.0206 0.8336 0.2487 (multiplicity 6)
In 0.1410 0.6431 0.0412 (multiplicity 6)
In 0.1658 0.4751 0.5391 (multiplicity 6)
Au 0.0000 0.0000 0.0000 (multiplicity 1)
Au 0.0000 0.0000 0.5000 (multiplicity 1)
Au 0.0068 0.7770 0.5740 (multiplicity 6)
Au 0.0369 0.7941 0.9154 (multiplicity 6)
Au 0.0863 0.6447 0.3658 (multiplicity 6)
Au 0.1068 0.4217 0.8742 (multiplicity 6)
Au 0.1122 0.6417 0.7045 (multiplicity 6)
Au 0.1374 0.4392 0.2089 (multiplicity 6)
Au 0.3333 0.6667 0.3248 (multiplicity 2)
Au 0.3333 0.6667 0.8339 (multiplicity 2)

Properties
Energy relative to the elements, kcal/mol of atoms: -3.1
V, Å³ per atom: 19.76

=====

Here is an optimized crystal structure of Bi5BO10 from the Materials Project. Energies are from PBE.

Unit cell a=8.480 b=22.439 c=5.651 alpha=90.00 beta=106.83 gamma=90.00
Space group P2_1/c (No. 14)
One atom of each set of equivalent atoms:
Bi 0.005 0.196 0.219 (multiplicity 4)
Bi 0.284 0.058 0.414 (multiplicity 4)
Bi 0.337 0.686 0.949 (multiplicity 4)
Bi 0.354 0.557 0.486 (multiplicity 4)
Bi 0.361 0.185 0.954 (multiplicity 4)
B 0.001 0.580 0.794 (multiplicity 4)
O 0.078 0.031 0.829 (multiplicity 4)
O 0.085 0.112 0.571 (multiplicity 4)
O 0.153 0.244 0.988 (multiplicity 4)
O 0.156 0.596 0.785 (multiplicity 4)
O 0.159 0.740 0.060 (multiplicity 4)
O 0.249 0.139 0.214 (multiplicity 4)
O 0.389 0.647 0.328 (multiplicity 4)
O 0.463 0.104 0.712 (multiplicity 4)
O 0.476 0.024 0.218 (multiplicity 4)
O 0.486 0.247 0.271 (multiplicity 4)

Properties
Energy relative to the elements, kcal/mol of atoms: -39.1
V, Å³ per atom: 16.08

=====

Here is an optimized crystal structure of RbOs2O9 from the Materials Project. Energies are from PBE.

Unit cell a=10.679 b=5.895 c=13.534 alpha=90.00 beta=90.00 gamma=90.00
Space group Pna2_1 (No. 33)
One atom of each set of equivalent atoms:
Rb 0.117 0.247 0.000 (multiplicity 4)
Os 0.101 0.310 0.335 (multiplicity 4)
Os 0.186 0.210 0.650 (multiplicity 4)
O 0.023 0.757 0.913 (multiplicity 4)
O 0.029 0.273 0.220 (multiplicity 4)
O 0.118 0.007 0.574 (multiplicity 4)
O 0.118 0.242 0.766 (multiplicity 4)
O 0.134 0.585 0.374 (multiplicity 4)
O 0.140 0.458 0.590 (multiplicity 4)
O 0.151 0.735 0.140 (multiplicity 4)
O 0.211 0.108 0.368 (multiplicity 4)
O 0.243 0.386 0.220 (multiplicity 4)

Properties
Energy relative to the elements, kcal/mol of atoms: -34.3
V, Å³ per atom: 17.75

=====

Here is an optimized crystal structure of Be2ReCl from the Materials Project. Energies are from PBE.

Unit cell a=5.841 b=5.841 c=5.841 alpha=90.00 beta=90.00 gamma=90.00
Space group F-43m (No. 216)
One atom of each set of equivalent atoms:
Be 0.000 0.000 0.000 (multiplicity 4)
Be 0.250 0.250 0.250 (multiplicity 4)
Re 0.000 0.000 0.500 (multiplicity 4)
Cl 0.250 0.250 0.750 (multiplicity 4)

Properties
Energy relative to the elements, kcal/mol of atoms: 22.1
V, Å³ per atom: 12.45

=====

Here is an optimized crystal structure of NaIO4 from the Materials Project. Energies are from PBE.

Unit cell a=5.434 b=5.434 c=12.170 alpha=90.00 beta=90.00 gamma=90.00
Space group I4_1/a (No. 88, origin choice 2)
One atom of each set of equivalent atoms: